Monday, October 6, 2008

Sick Day

“Mommy, my tummy hurts,” my nine-year-old came to me saying, early this morning.

My kids would not dare to play sick, so I say, “Okay, tell your sister you are staying home and to get some ginger ale from the garage for you.”

I let her lay around until noon before declaring she needed to get outdoors. We took the baby around the block in her red wagon. For some reason, she insisted that her big sister pull her. Every time I tried to alleviate her burden, she would holler until I gave back the handle.

Once the baby was in bed, I made some chicken noodle soup. That did wonders for her constitution. Then I took down my dutch bulbs and put them in front of her. I had been purchasing one box of bulbs each week for five weeks, waiting for the perfect time. Now that the white picket fence has its new coat of paint (which took me a full four weeks) it is the perfect backdrop for a colorful spring display.

“Can you help me figure out a planting pattern for these?” I asked her.

We divided up the north side of the fence into sections. I have been planting baby fir trees there for several years now, so that there is one evergreen per post, and one at the center of the pickets between each post. We called the area in between two fir trees a “section”, and counted up ten sections. We divided our bulbs into early-blooming and late-flowering, and came up with a plan.

In the middle of each section would be one late-flowering drumstick alium

with an early-blooming wild tulip directly on top of it.

Flanking that would be two Grecian windflowers. We had a few left over of each of these types of bulbs to put in other areas of the yard.

Six white daffodils obdam went around a lamp-post by the street. I have been trying to plant things there for years and my husband keeps mowing over them. (These should come up before the mowing season, and will be obvious enough to leave alone.)

Four English wood hyacinths went in a border garden on the south side of the house.

I showed my daughter how to use the bulb digger, and reviewed the plan for our planting pattern. I prepared each section by ripping out the grass and she followed me with the bulb digger, bulbs, and water. When we were done, she deadheaded the marigolds and sprinkled the seeds on top of the fresh dirt. If we are lucky, they will germinate there, for a real show of summer color once the bulbs are done.

### Calculated crystals from another source follow
********
(1)
# ZrCdCl2, optimized geometry, DFT GGA-PBE
data_ZrCdCl2
_chemical_formula_sum 'Zr1 Cd1 Cl2'
_cell_length_a 5.264
_cell_length_b 5.264
_cell_length_c 5.264
_cell_angle_alpha 130.41
_cell_angle_beta 130.41
_cell_angle_gamma 72.75
_space_group_name_H-M_alt 'P 1'
_space_group_IT_number 1
loop_
_space_group_symop_operation_xyz
'x,y,z'
loop_
_atom_site_label
_atom_site_type_symbol
_atom_site_fract_x
_atom_site_fract_y
_atom_site_fract_z
Cl1 Cl 0.000 0.000 0.000
Zr1 Zr 0.250 0.750 0.500
Cl2 Cl 0.500 0.500 0.000
Cd1 Cd 0.750 0.250 0.500
# - E: -3.666 eV/atom
# - Offset from the most stable computed form: 696 meV/atom
# - Total magnetic moment: 0.000 μB/atom
# - Volume: 20.65 Å³ per atom
# - ΔE_f (raw): -0.38 eV/atom

(2)
# Au2SeN, optimized geometry, DFT GGA-PBE
data_Au2SeN
_chemical_formula_sum 'Au2 Se1 N1'
_cell_length_a 4.519
_cell_length_b 4.519
_cell_length_c 4.519
_cell_angle_alpha 60.00
_cell_angle_beta 60.00
_cell_angle_gamma 60.00
_space_group_name_H-M_alt 'P 1'
_space_group_IT_number 1
loop_
_space_group_symop_operation_xyz
'x,y,z'
loop_
_atom_site_label
_atom_site_type_symbol
_atom_site_fract_x
_atom_site_fract_y
_atom_site_fract_z
Au1 Au 0.750 0.750 0.750
Se1 Se 0.500 0.500 0.500
Au2 Au 0.250 0.250 0.250
N1 N 0.000 0.000 0.000
# - E: -3.241 eV/atom
# - Offset from the most stable computed form: 504 meV/atom
# - Total magnetic moment: 0.337 μB/atom
# - Volume: 16.32 Å³ per atom
# - ΔE_f (raw): 1.35 eV/atom

(3)
# SrLa2PuO8, optimized geometry, DFT GGA-PBE
data_SrLa2PuO8
_chemical_formula_sum 'Sr1 La2 Pu1 O8'
_cell_length_a 4.277
_cell_length_b 5.572
_cell_length_c 7.723
_cell_angle_alpha 90.00
_cell_angle_beta 90.00
_cell_angle_gamma 96.63
_space_group_name_H-M_alt 'P 1'
_space_group_IT_number 1
loop_
_space_group_symop_operation_xyz
'x,y,z'
loop_
_atom_site_label
_atom_site_type_symbol
_atom_site_fract_x
_atom_site_fract_y
_atom_site_fract_z
O1 O 0.052 0.770 0.199
Pu1 Pu 0.000 0.000 0.000
O2 O 0.417 0.209 0.000
La1 La 0.500 0.500 0.252
O3 O 0.505 0.264 0.500
Sr1 Sr 0.000 0.000 0.500
O4 O 0.495 0.736 0.500
O5 O 0.948 0.230 0.801
O6 O 0.052 0.770 0.801
O7 O 0.948 0.230 0.199
La2 La 0.500 0.500 0.748
O8 O 0.583 0.791 0.000
# - E: -8.244 eV/atom
# - Total magnetic moment: 0.064 μB/atom
# - Volume: 15.24 Å³ per atom
# - ΔE_f (raw): -2.78 eV/atom

(4)
# Mg2Sc5OsRh2, optimized geometry, DFT GGA-PBE
data_Mg2Sc5OsRh2
_chemical_formula_sum 'Mg4 Sc10 Os2 Rh4'
_cell_length_a 3.351
_cell_length_b 10.991
_cell_length_c 10.991
_cell_angle_alpha 90.00
_cell_angle_beta 90.00
_cell_angle_gamma 90.00
_space_group_name_H-M_alt 'P 1'
_space_group_IT_number 1
loop_
_space_group_symop_operation_xyz
'x,y,z'
loop_
_atom_site_label
_atom_site_type_symbol
_atom_site_fract_x
_atom_site_fract_y
_atom_site_fract_z
Sc1 Sc 0.500 0.306 0.560
Sc2 Sc 0.500 0.060 0.806
Sc3 Sc 0.500 0.806 0.940
Mg1 Mg 0.000 0.180 0.320
Rh1 Rh 0.000 0.130 0.630
Mg2 Mg 0.000 0.320 0.820
Sc4 Sc 0.500 0.500 0.000
Sc5 Sc 0.500 0.000 0.500
Sc6 Sc 0.500 0.560 0.694
Sc7 Sc 0.500 0.694 0.440
********
### End of the calculated crystals

I washed my hands just in time for the school bus to arrive and the baby to wake up. My daughter, upon seeing her makeup work, promptly returned to the couch for a well-earned nap.

1 comment:

Loren said...

The garden sounds just beautiful. I like how you planned for color throughout the changing seasons. AND...You are an excellent mommy. :)